What to do >
It remains to print the rows underneath character by character.

Listing >
- - -
The following is a calculated powder diffractogram of CaFe8O12. It was derived from a crystal structure in the Materials Project, relaxed with PBE+U, using a wavelength of 1.5418 Å.
No peak broadening, texture or thermal motion is included.

Most intense lines, 2θ = 5–70°, by angle:
10.09°, rel. 68, (0 0 1)
20.26°, rel. 99, (0 0 2)
27.47°, rel. 65, (0 1 -2)
28.49°, rel. 33, (1 0 -2)
32.35°, rel. 58, (1 1 -2)
33.05°, rel. 51, (0 2 0)
33.69°, rel. 57, (-1 1 2)
33.88°, rel. 100, (1 1 3)
34.19°, rel. 31, (1 2 0)
34.78°, rel. 74, (2 0 1)
42.15°, rel. 88, (1 -2 1)
42.52°, rel. 43, (2 2 1)

Cell and atoms:
Cell lengths 5.3445, 5.5805, 8.9376 Å; angles 82.19, 80.51, 77.52 degrees
Space group P1 (No. 1)
Inequivalent atoms, fractional coordinates:
1 Ca 0.0000 0.0000 0.0000
2 Fe 0.1640 0.2293 0.5724
3 Fe 0.1648 0.5288 0.8597
4 Fe 0.2083 0.7102 0.3630
5 Fe 0.2853 0.2316 0.2010
6 Fe 0.5723 0.0706 0.7918
7 Fe 0.6601 0.6040 0.6977
8 Fe 0.7147 0.0470 0.3952
9 Fe 0.7613 0.5436 0.2895
10 O 0.0617 0.9987 0.4676
11 O 0.0631 0.6702 0.1844
12 O 0.3375 0.2211 0.9708
13 O 0.3697 0.7571 0.8712
14 O 0.3789 0.4108 0.6782
- - -

Written answer >
The following is a calculated powder diffractogram of CaFe8O12. It was derived from a crystal structure in the Materials Project, relaxed with PBE+U, using a wavelength of 1.5418 Å.
No peak broadening, texture or thermal motion is included.

Most intense lines, 2θ = 5–70°, by angle:
10.09°, rel. 68, (0 0 1)
20.26°, rel. 99, (0 0 2)
27.47°, rel. 65, (0 1 -2)
28.49°, rel. 33, (1 0 -2)
32.35°, rel. 58, (1 1 -2)
33.05°, rel. 51, (0 2 0)
33.69°, rel. 57, (-1 1 2)
33.88°, rel. 100, (1 1 3)
34.19°, rel. 31, (1 2 0)
34.78°, rel. 74, (2 0 1)
42.15°, rel. 88, (1 -2 1)
42.52°, rel. 43, (2 2 1)

Cell and atoms:
Cell lengths 5.3445, 5.5805, 8.9376 Å; angles 82.19, 80.51, 77.52 degrees
Space group P1 (No. 1)
Inequivalent atoms, fractional coordinates:
1 Ca 0.0000 0.0000 0.0000
2 Fe 0.1640 0.2293 0.5724
3 Fe 0.1648 0.5288 0.8597
4 Fe 0.2083 0.7102 0.3630
5 Fe 0.2853 0.2316 0.2010
6 Fe 0.5723 0.0706 0.7918
7 Fe 0.6601 0.6040 0.6977
8 Fe 0.7147 0.0470 0.3952
9 Fe 0.7613 0.5436 0.2895
10 O 0.0617 0.9987 0.4676
11 O 0.0631 0.6702 0.1844
12 O 0.3375 0.2211 0.9708
13 O 0.3697 0.7571 0.8712
14 O 0.3789 0.4108 0.6782